Assignment:
Now reproduce everything further below without altering anything.

Data:
'''
A structure of composition C33H26Cl2N5O2SV, computed with ωB97M-V/def2-TZVPD.

HOMO energy (spin up / spin down): -8.6 / -8.9 eV
Multiplicity: 2
Charge: +1

```
70
Properties=species:S:1:pos:R:3:mulliken_spin:R:1
V 0.18 -0.08 -0.47 1.2220
Cl 0.47 2.09 -1.62 -0.0126
Cl -4.20 3.99 0.43 -0.0005
S -1.01 3.63 0.74 -0.0664
O -1.02 0.79 1.01 -0.0042
O -1.35 -0.66 -1.10 -0.0705
N 0.88 -0.88 -2.38 -0.0402
N 1.71 0.93 1.53 -0.0112
N 2.56 3.02 1.20 -0.0002
N 0.61 -1.15 1.08 -0.0393
N 2.25 -0.01 -0.45 -0.0446
C 3.09 -0.65 -1.44 0.0183
C -3.23 2.34 -3.06 -0.0111
C -1.36 0.59 3.35 -0.0089
C -1.25 2.48 -1.75 -0.0151
C 0.16 -1.38 -3.31 0.0371
C -3.91 2.92 -1.99 0.0036
C -0.60 0.50 2.13 0.0229
C -3.29 -2.38 -4.29 -0.0067
C 1.49 -5.28 1.10 -0.0064
C -4.00 -1.98 -3.16 0.0080
C -0.81 0.11 4.48 0.0055
C 0.79 -0.14 2.11 -0.0142
C 1.16 -4.60 -0.07 0.0064
C 2.09 4.90 2.59 -0.0002
C 1.24 -3.22 2.33 -0.0093
C 1.38 4.09 3.45 0.0004
C -3.26 3.29 -0.84 -0.0060
C 2.29 -0.61 -2.72 0.0023
C -1.99 -1.23 -2.13 -0.0034
C -1.93 -2.20 -4.34 0.0050
C 0.93 -2.52 1.16 0.0193
C 2.69 4.31 1.49 -0.0005
C 1.84 2.27 2.01 0.0057
C -1.85 3.13 -0.65 0.0035
C -1.25 -1.62 -3.25 0.0043
C -3.36 -1.41 -2.08 -0.0073
C 1.52 -4.58 2.29 0.0032
C 0.88 -3.25 -0.04 0.0201
C 0.56 -0.40 4.54 -0.0008
C 1.26 2.73 3.18 0.0018
C -1.87 2.11 -2.93 0.0075
C 2.66 0.61 0.58 0.0118
C 1.32 -0.52 3.46 -0.0012
H 0.65 -1.65 -4.25 -0.0015
H -3.90 -1.07 -1.20 0.0005
H 2.34 0.38 -3.17 -0.0018
H 0.91 4.50 4.34 0.0000
H 4.05 -0.13 -1.54 -0.0015
H 3.28 -1.68 -1.13 -0.0021
H -3.75 2.08 -3.97 0.0006
H -4.98 3.11 -2.06 -0.0005
H -2.36 1.02 3.30 -0.0003
H 1.22 -2.74 3.29 -0.0009
H -1.36 -2.49 -5.21 0.0001
H -5.07 -2.12 -3.12 0.0002
H -1.30 1.67 -3.73 0.0000
H 1.10 -5.13 -1.01 0.0005
H 3.69 0.93 0.72 -0.0003
H 3.28 4.90 0.80 0.0000
H 0.59 -2.76 -0.95 -0.0201
H 0.73 2.09 3.86 -0.0008
H -3.81 -2.82 -5.13 0.0001
H 1.75 -5.09 3.21 -0.0001
H -1.38 0.13 5.40 0.0002
H 1.71 -6.34 1.08 -0.0002
H 2.19 5.96 2.77 0.0001
H 2.66 -1.34 -3.44 0.0001
H 2.35 -0.86 3.51 -0.0003
H 0.96 -0.65 5.51 0.0001
```



A cluster of 4 separate species, C2H12N2O3 in total in a non-equilibrium geometry, computed with ωB97M-V/def2-TZVPD.

HOMO energy: -7.5 eV
SMILES string: N/C=C\N.O.O.O

```
19
Properties=species:S:1:pos:R:3:mulliken_charge:R:1
O 3.55 -1.74 1.53 -0.6704
O -2.47 0.04 0.95 -0.7185
O -0.63 6.03 -1.62 -0.6295
N -0.04 -1.36 1.48 -0.5106
N -1.08 -1.40 -1.61 -0.5442
C 0.57 -1.56 0.25 -0.2471
C 0.21 -1.16 -0.99 -0.4814
H 0.88 -0.61 -1.66 0.2646
H -0.79 5.45 -2.36 0.3100
H -1.76 0.62 0.64 0.3169
H -3.09 0.08 0.21 0.3225
H 3.03 -0.91 1.67 0.3360
H 1.63 -1.81 0.27 0.5507
H -0.48 6.81 -2.20 0.3195
H -0.23 -2.21 2.04 0.2668
H -1.07 -2.33 -2.02 0.2309
H -1.19 -0.77 -2.38 0.2472
H 3.58 -2.04 2.46 0.3156
H -1.04 -1.13 1.41 0.3211
```



An isolated molecule of C6H8, computed with ωB97M-V/def2-TZVPD.

HOMO energy: -9.8 eV
SMILES string: C#CC1CCC1

```
14
Properties=species:S:1:pos:R:3:mulliken_charge:R:1
C -0.09 1.21 -1.31 -0.8648
C -1.05 -0.45 0.43 -0.6573
C 1.10 -0.35 0.38 -0.6553
C 0.08 -1.14 1.22 -0.5175
C -0.13 1.65 -2.43 0.1960
C -0.03 0.65 0.03 0.1354
H 0.13 -2.24 1.18 0.3087
H -1.34 -1.03 -0.45 0.2831
H 1.42 -0.90 -0.51 0.2829
H -0.18 2.05 -3.43 0.4134
H -0.05 1.46 0.77 0.2391
H 0.09 -0.83 2.27 0.2262
H -1.94 -0.13 0.97 0.3056
H 1.99 0.05 0.89 0.3042
```



A cluster of 2 separate species, C11H22N3 in total in a non-equilibrium geometry, computed with ωB97M-V/def2-TZVPD.

HOMO energy: -12.2 eV
Charge: +1

```
36
Properties=species:S:1:pos:R:3:mulliken_charge:R:1
N -0.15 -0.81 1.42 -0.0394
N -2.37 -1.76 1.95 -0.1707
N 2.65 0.75 -0.73 -0.3467
C -0.32 0.34 -2.02 1.1760
C -3.03 -0.95 2.71 -0.4103
C 3.86 1.54 -0.83 -0.9381
C 0.28 0.36 -0.75 0.7815
C 0.48 1.05 -3.16 -1.2367
C -1.62 -0.27 -2.40 -1.9252
C 1.04 2.47 0.01 -1.3584
C 0.99 -0.28 2.26 -1.0348
C -0.41 -0.44 0.24 -0.3061
C -3.12 -2.99 1.80 -1.0022
C 1.48 1.09 -0.48 -0.0015
H 1.83 -0.80 1.78 0.3905
H 1.15 3.20 -0.85 0.3694
H -0.61 -1.57 1.90 0.4786
H -2.30 -0.59 -1.67 0.5696
'''

Outcome:
A structure of composition C33H26Cl2N5O2SV, computed with ωB97M-V/def2-TZVPD.

HOMO energy (spin up / spin down): -8.6 / -8.9 eV
Multiplicity: 2
Charge: +1

```
70
Properties=species:S:1:pos:R:3:mulliken_spin:R:1
V 0.18 -0.08 -0.47 1.2220
Cl 0.47 2.09 -1.62 -0.0126
Cl -4.20 3.99 0.43 -0.0005
S -1.01 3.63 0.74 -0.0664
O -1.02 0.79 1.01 -0.0042
O -1.35 -0.66 -1.10 -0.0705
N 0.88 -0.88 -2.38 -0.0402
N 1.71 0.93 1.53 -0.0112
N 2.56 3.02 1.20 -0.0002
N 0.61 -1.15 1.08 -0.0393
N 2.25 -0.01 -0.45 -0.0446
C 3.09 -0.65 -1.44 0.0183
C -3.23 2.34 -3.06 -0.0111
C -1.36 0.59 3.35 -0.0089
C -1.25 2.48 -1.75 -0.0151
C 0.16 -1.38 -3.31 0.0371
C -3.91 2.92 -1.99 0.0036
C -0.60 0.50 2.13 0.0229
C -3.29 -2.38 -4.29 -0.0067
C 1.49 -5.28 1.10 -0.0064
C -4.00 -1.98 -3.16 0.0080
C -0.81 0.11 4.48 0.0055
C 0.79 -0.14 2.11 -0.0142
C 1.16 -4.60 -0.07 0.0064
C 2.09 4.90 2.59 -0.0002
C 1.24 -3.22 2.33 -0.0093
C 1.38 4.09 3.45 0.0004
C -3.26 3.29 -0.84 -0.0060
C 2.29 -0.61 -2.72 0.0023
C -1.99 -1.23 -2.13 -0.0034
C -1.93 -2.20 -4.34 0.0050
C 0.93 -2.52 1.16 0.0193
C 2.69 4.31 1.49 -0.0005
C 1.84 2.27 2.01 0.0057
C -1.85 3.13 -0.65 0.0035
C -1.25 -1.62 -3.25 0.0043
C -3.36 -1.41 -2.08 -0.0073
C 1.52 -4.58 2.29 0.0032
C 0.88 -3.25 -0.04 0.0201
C 0.56 -0.40 4.54 -0.0008
C 1.26 2.73 3.18 0.0018
C -1.87 2.11 -2.93 0.0075
C 2.66 0.61 0.58 0.0118
C 1.32 -0.52 3.46 -0.0012
H 0.65 -1.65 -4.25 -0.0015
H -3.90 -1.07 -1.20 0.0005
H 2.34 0.38 -3.17 -0.0018
H 0.91 4.50 4.34 0.0000
H 4.05 -0.13 -1.54 -0.0015
H 3.28 -1.68 -1.13 -0.0021
H -3.75 2.08 -3.97 0.0006
H -4.98 3.11 -2.06 -0.0005
H -2.36 1.02 3.30 -0.0003
H 1.22 -2.74 3.29 -0.0009
H -1.36 -2.49 -5.21 0.0001
H -5.07 -2.12 -3.12 0.0002
H -1.30 1.67 -3.73 0.0000
H 1.10 -5.13 -1.01 0.0005
H 3.69 0.93 0.72 -0.0003
H 3.28 4.90 0.80 0.0000
H 0.59 -2.76 -0.95 -0.0201
H 0.73 2.09 3.86 -0.0008
H -3.81 -2.82 -5.13 0.0001
H 1.75 -5.09 3.21 -0.0001
H -1.38 0.13 5.40 0.0002
H 1.71 -6.34 1.08 -0.0002
H 2.19 5.96 2.77 0.0001
H 2.66 -1.34 -3.44 0.0001
H 2.35 -0.86 3.51 -0.0003
H 0.96 -0.65 5.51 0.0001
```



A cluster of 4 separate species, C2H12N2O3 in total in a non-equilibrium geometry, computed with ωB97M-V/def2-TZVPD.

HOMO energy: -7.5 eV
SMILES string: N/C=C\N.O.O.O

```
19
Properties=species:S:1:pos:R:3:mulliken_charge:R:1
O 3.55 -1.74 1.53 -0.6704
O -2.47 0.04 0.95 -0.7185
O -0.63 6.03 -1.62 -0.6295
N -0.04 -1.36 1.48 -0.5106
N -1.08 -1.40 -1.61 -0.5442
C 0.57 -1.56 0.25 -0.2471
C 0.21 -1.16 -0.99 -0.4814
H 0.88 -0.61 -1.66 0.2646
H -0.79 5.45 -2.36 0.3100
H -1.76 0.62 0.64 0.3169
H -3.09 0.08 0.21 0.3225
H 3.03 -0.91 1.67 0.3360
H 1.63 -1.81 0.27 0.5507
H -0.48 6.81 -2.20 0.3195
H -0.23 -2.21 2.04 0.2668
H -1.07 -2.33 -2.02 0.2309
H -1.19 -0.77 -2.38 0.2472
H 3.58 -2.04 2.46 0.3156
H -1.04 -1.13 1.41 0.3211
```



An isolated molecule of C6H8, computed with ωB97M-V/def2-TZVPD.

HOMO energy: -9.8 eV
SMILES string: C#CC1CCC1

```
14
Properties=species:S:1:pos:R:3:mulliken_charge:R:1
C -0.09 1.21 -1.31 -0.8648
C -1.05 -0.45 0.43 -0.6573
C 1.10 -0.35 0.38 -0.6553
C 0.08 -1.14 1.22 -0.5175
C -0.13 1.65 -2.43 0.1960
C -0.03 0.65 0.03 0.1354
H 0.13 -2.24 1.18 0.3087
H -1.34 -1.03 -0.45 0.2831
H 1.42 -0.90 -0.51 0.2829
H -0.18 2.05 -3.43 0.4134
H -0.05 1.46 0.77 0.2391
H 0.09 -0.83 2.27 0.2262
H -1.94 -0.13 0.97 0.3056
H 1.99 0.05 0.89 0.3042
```



A cluster of 2 separate species, C11H22N3 in total in a non-equilibrium geometry, computed with ωB97M-V/def2-TZVPD.

HOMO energy: -12.2 eV
Charge: +1

```
36
Properties=species:S:1:pos:R:3:mulliken_charge:R:1
N -0.15 -0.81 1.42 -0.0394
N -2.37 -1.76 1.95 -0.1707
N 2.65 0.75 -0.73 -0.3467
C -0.32 0.34 -2.02 1.1760
C -3.03 -0.95 2.71 -0.4103
C 3.86 1.54 -0.83 -0.9381
C 0.28 0.36 -0.75 0.7815
C 0.48 1.05 -3.16 -1.2367
C -1.62 -0.27 -2.40 -1.9252
C 1.04 2.47 0.01 -1.3584
C 0.99 -0.28 2.26 -1.0348
C -0.41 -0.44 0.24 -0.3061
C -3.12 -2.99 1.80 -1.0022
C 1.48 1.09 -0.48 -0.0015
H 1.83 -0.80 1.78 0.3905
H 1.15 3.20 -0.85 0.3694
H -0.61 -1.57 1.90 0.4786
H -2.30 -0.59 -1.67 0.5696